even though aluminium is more abundant than iron in the earth's crust. And generally speaking, the more abundant a metal is, the cheaper it is
Aluminum does not show up naturally in the earth's crust, but is derived from bauxite (alumina). In order to get the metallic aluminum, a significant, expensive smelting process is involved, which requires a large amount of energy and resources. Once metallic aluminum is produced, it is easily reused, but getting the metal in the first place is difficult.
If you compact aluminium to equal strength of Iron, ALUMINIUM would weight less. if you compact aluminium to equal Weight of iron, it would be stronger then iron. it can also withstand more heat.
Because Aluminium requires an electrolytic process to obtain it from its oxide, whilst iron can be obtained from iron oxide by heating with coke in a Blast Furnace. Electricity is expensive. ...and the bauxite needs considerable purification to give alumina of a high degree of purity before it can be put into the electrolytic cell; iron ore is added directly to the Blast Furnace with no prior purification.)
Eventually its all about money. Aluminium is a better conductor of electricity than Iron, and thats the reason it is used in preference to it. For example, it would cost no more to lay an Aluminium Cable, Copper Cable or Iron cable in the ground. On overhead lines Aluminium is used because of its weight but most cables are burried. So how does it cost less when the materials are more expensive? Mainly the cable looses volts along its length and the higher its resistance it then the lower the volts are at the end of it. To keep the end users volts high enough you need shorter cables from the substations with a higher resistance cable (like Iron), and so you need many more substations. At a cost of over ?100,000 each building a substation far outweighs the extra cost of Aluminium over Iron. Also, when laying a cable in a trench the main cost is actually the civil works of digging the trench (cable at say ?45 a meter, and civil works at maybe ?100 a meter - quite a difference) There is a small consideration with the electrical resistance in the Iron. This means iron looses more energy per kilometer than an Aluminium or Copper, and this energy costs money to produce so there are savings there. Anyway, its all down to the cost of making the distribution network rather than say the weight of the cables.
Calculated crystals from another source follow:
/*
1.
A plane-wave DFT calculation with PBE was carried out for a geometry-optimized Ti8AlNi2 structure.

Results
Formation energy from the elements, kJ/mol of formula units: -112

a b c (Å): 4.319 7.006 7.006
angles (deg): 116.95 99.00 99.00
Fractional coordinates of all 11 atoms:
Ti 0.911 0.916 0.689
Ti 0.911 0.689 0.916
Ti 0.310 0.608 0.608
Ti 0.500 0.767 0.233
Ti 0.500 0.233 0.767
Ti 0.690 0.392 0.392
Ti 0.089 0.311 0.084
Ti 0.089 0.084 0.311
Al 0.500 0.000 0.000
Ni 0.000 0.313 0.687
Ni 0.000 0.687 0.313

---

2.
A plane-wave DFT calculation with PBE was carried out for a geometry-optimized ZrV2Sb2 structure.

Results
Formation energy (no corrections), eV/atom: -0.0141

a b c (Å): 7.581 7.581 3.318
angles (deg): 90.00 90.00 90.00
Fractional coordinates of all 10 atoms:
Sb 0.175 0.675 0.500
Sb 0.675 0.825 0.500
Sb 0.825 0.325 0.500
Sb 0.325 0.175 0.500
Zr 0.000 0.000 0.000
Zr 0.500 0.500 0.000
V 0.385 0.885 0.000
V 0.885 0.615 0.000
V 0.615 0.115 0.000
V 0.115 0.385 0.000

---

3.
A plane-wave DFT calculation with PBE was carried out for a geometry-optimized Tb2YScIn2 structure.

Results
Formation energy from the elements, kJ/mol of formula units: -210

a b c (Å): 5.279 6.712 9.214
angles (deg): 90.00 90.00 90.00
Fractional coordinates of all 12 atoms:
Tb 0.500 0.008 0.008
Tb 0.000 0.267 0.164
Tb 0.500 0.508 0.992
Tb 0.000 0.767 0.836
Y 0.000 0.006 0.493
Y 0.000 0.506 0.507
Sc 0.500 0.248 0.671
Sc 0.500 0.748 0.329
In 0.000 0.261 0.824
In 0.500 0.255 0.346
In 0.000 0.761 0.176
In 0.500 0.755 0.654

---

4.
A plane-wave DFT calculation with PBE was carried out for a geometry-optimized LaYErPu structure.

Results
Formation energy from the elements, kJ/mol of formula units: 80

a b c (Å): 5.651 5.651 5.651
angles (deg): 60.00 60.00 60.00
Fractional coordinates of all 4 atoms:
Y 0.250 0.250 0.250
La 0.000 0.000 0.000
Pu 0.750 0.750 0.750
Er 0.500 0.500 0.500

---

5.
A plane-wave DFT calculation with PBE was carried out for a geometry-optimized KCo3 structure.

Results
Formation energy from the elements, kJ/mol of formula units: 473
E above lowest polymorph, meV per atom: 571

a b c (Å): 4.881 4.881 2.588
angles (deg): 90.00 90.00 90.00
Fractional coordinates of all 4 atoms:
Co 0.000 0.000 0.000
Co 0.500 0.000 0.500
Co 0.500 0.500 0.000
K 0.000 0.500 0.500

---

6.
A plane-wave DFT calculation with PBE was carried out for a geometry-optimized CuRu2W structure.

Results
Formation energy from the elements, kJ/mol of formula units: 34
E above lowest polymorph, meV per atom: 13

a b c (Å): 3.139 3.139 5.735
angles (deg): 90.00 90.00 90.00
Fractional coordinates of all 4 atoms:
Cu 0.500 0.500 0.750
Ru 0.000 0.000 0.992
Ru 0.000 0.000 0.508
W 0.500 0.500 0.250

---

7.
A plane-wave DFT calculation with PBE was carried out for a geometry-optimized Cs2LaAgCl6 structure.

Results
E above lowest polymorph, meV per atom: 0
Formation energy (no corrections), eV/atom: -1.8751

a b c (Å): 7.784 7.771 11.208
angles (deg): 90.00 89.77 90.00
*/
AluminIum is a metal which is always found in the form of compounds minerals and ores. It is expensive because it is economically very expensive to extract from ores. It takes a lot of money and processes in chemical and manufacturing industries after which pure aluminium is obtained. One most abundant ore of aluminium is bauxite. Aluminium from it is extracted through many processes like pulverization, enrichment, conversion in metal oxide, extraction from oxide, refining etc. Also, oxide of aluminium is a very very strong and hard compound from which aluminium extraction is very hard. Though aluminium is in great abundance but what matter most is that how its purest form is extracted and sold to the users.